# Job
The reader should type out everything below word for word.

# Input
- - -
# PBE+U CrPO10, optimized geometry
data_CrPO10
_chemical_formula_sum 'Cr8 P8 O80'
_symmetry_space_group_name_H-M 'C 1 2/c 1'
_symmetry_Int_Tables_number 15
_cell_length_a 9.235
_cell_length_b 7.802
_cell_length_c 24.126
_cell_angle_alpha 90.00
_cell_angle_beta 94.23
_cell_angle_gamma 90.00
loop_
_symmetry_equiv_pos_as_xyz
'x,y,z'
'-x,-y,-z'
'-x,y,-z+1/2'
'x,-y,z+1/2'
'x+1/2,y+1/2,z'
'-x+1/2,-y+1/2,-z'
'-x+1/2,y+1/2,-z+1/2'
'x+1/2,-y+1/2,z+1/2'
loop_
_atom_site_label
_atom_site_type_symbol
_atom_site_fract_x
_atom_site_fract_y
_atom_site_fract_z
Cr1 Cr 0.000 0.000 0.000
Cr2 Cr 0.000 0.191 0.250
P1 P 0.141 0.442 0.884
O1 O 0.011 0.446 0.840
O2 O 0.021 0.105 0.068
O3 O 0.044 0.241 0.733
O4 O 0.084 0.499 0.940
O5 O 0.085 0.175 0.540
O6 O 0.092 0.072 0.298
O7 O 0.129 0.307 0.223
O8 O 0.184 0.020 0.979
O9 O 0.211 0.264 0.891
O10 O 0.248 0.072 0.636
# Theoretical density (Mg/m³): 1.86
# Total magnetic moment (μB per formula unit): 7.65
# Relative energy among the computed polymorphs (meV/atom): 315
# Electronic total energy (eV per atom): -5.409
# Calculated formation energy (meV/atom): -331

# PBE+U Li4Mn3Fe2Sn3O16, optimized geometry
data_Li4Mn3Fe2Sn3O16
_chemical_formula_sum 'Li4 Mn3 Fe2 Sn3 O16'
_symmetry_space_group_name_H-M 'P 1'
_symmetry_Int_Tables_number 1
_cell_length_a 6.054
_cell_length_b 6.059
_cell_length_c 9.716
_cell_angle_alpha 88.86
_cell_angle_beta 89.58
_cell_angle_gamma 60.08
loop_
_symmetry_equiv_pos_as_xyz
'x,y,z'
loop_
_atom_site_label
_atom_site_type_symbol
_atom_site_fract_x
_atom_site_fract_y
_atom_site_fract_z
Li1 Li 0.000 0.000 0.000
Li2 Li 0.005 0.990 0.491
Li3 Li 0.352 0.292 0.599
Li4 Li 0.688 0.622 0.108
Mn1 Mn 0.185 0.138 0.278
Mn2 Mn 0.676 0.136 0.278
Mn3 Mn 0.846 0.305 0.775
Fe1 Fe 0.354 0.285 0.004
Fe2 Fe 0.685 0.629 0.494
Sn1 Sn 0.185 0.629 0.279
Sn2 Sn 0.354 0.795 0.779
Sn3 Sn 0.848 0.796 0.780
O1 O 0.005 0.990 0.185
O2 O 0.012 0.975 0.675
O3 O 0.055 0.433 0.159
O4 O 0.169 0.139 0.890
O5 O 0.175 0.649 0.904
O6 O 0.335 0.819 0.392
O7 O 0.359 0.278 0.386
O8 O 0.496 0.007 0.164
O9 O 0.512 0.431 0.158
O10 O 0.534 0.932 0.649
O11 O 0.545 0.473 0.655
O12 O 0.687 0.622 0.898
O13 O 0.691 0.139 0.890
O14 O 0.843 0.819 0.391
O15 O 0.854 0.295 0.383
O16 O 0.981 0.472 0.656
# Theoretical density (Mg/m³): 4.93
# Total magnetic moment (μB per formula unit): 21.00
# Relative energy among the computed polymorphs (meV/atom): 25
# Electronic total energy (eV per atom): -6.372
# Calculated formation energy (meV/atom): -1988

# PBE+U CaCoSi4O10, optimized geometry
data_CaCoSi4O10
_chemical_formula_sum 'Ca4 Co4 Si16 O40'
_symmetry_space_group_name_H-M 'P 4/n c c'
_symmetry_Int_Tables_number 130
_cell_length_a 7.447
_cell_length_b 7.447
_cell_length_c 15.402
_cell_angle_alpha 90.00
_cell_angle_beta 90.00
_cell_angle_gamma 90.00
loop_
_symmetry_equiv_pos_as_xyz
'x,y,z'
'-x,-y,-z'
'-y+1/2,x,z'
'y+1/2,-x,-z'
'-x+1/2,-y+1/2,z'
'x+1/2,y+1/2,-z'
'y,-x+1/2,z'
'-y,x+1/2,-z'
'x+1/2,-y,-z+1/2'
'-x+1/2,y,z+1/2'
'-y,-x,-z+1/2'
'y,x,z+1/2'
'-x,y+1/2,-z+1/2'
'x,-y+1/2,z+1/2'
'y+1/2,x+1/2,-z+1/2'
'-y+1/2,-x+1/2,z+1/2'
loop_
_atom_site_label
_atom_site_type_symbol
_atom_site_fract_x
_atom_site_fract_y
_atom_site_fract_z
Ca1 Ca 0.250 0.750 0.000
Co1 Co 0.250 0.250 0.083
Si1 Si 0.002 0.077 0.352
O1 O 0.000 0.205 0.872
O2 O 0.001 0.146 0.082
O3 O 0.041 0.541 0.250
# Theoretical density (Mg/m³): 2.89
# Total magnetic moment (μB per formula unit): 3.02
# Electronic total energy (eV per atom): -7.530
# Calculated formation energy (meV/atom): -3043

# PBE+U Li2V2F7, optimized geometry
data_Li2V2F7
_chemical_formula_sum 'Li8 V8 F28'
_symmetry_space_group_name_H-M 'P 1 21/c 1'
_symmetry_Int_Tables_number 14
_cell_length_a 7.672
_cell_length_b 7.214
_cell_length_c 10.367
_cell_angle_alpha 90.00
_cell_angle_beta 90.01
_cell_angle_gamma 90.00
loop_
_symmetry_equiv_pos_as_xyz
'x,y,z'
'-x,-y,-z'
'-x,y+1/2,-z+1/2'
'x,-y+1/2,z+1/2'
loop_
_atom_site_label
_atom_site_type_symbol
_atom_site_fract_x
_atom_site_fract_y
_atom_site_fract_z
- - -

# Written answer
# PBE+U CrPO10, optimized geometry
data_CrPO10
_chemical_formula_sum 'Cr8 P8 O80'
_symmetry_space_group_name_H-M 'C 1 2/c 1'
_symmetry_Int_Tables_number 15
_cell_length_a 9.235
_cell_length_b 7.802
_cell_length_c 24.126
_cell_angle_alpha 90.00
_cell_angle_beta 94.23
_cell_angle_gamma 90.00
loop_
_symmetry_equiv_pos_as_xyz
'x,y,z'
'-x,-y,-z'
'-x,y,-z+1/2'
'x,-y,z+1/2'
'x+1/2,y+1/2,z'
'-x+1/2,-y+1/2,-z'
'-x+1/2,y+1/2,-z+1/2'
'x+1/2,-y+1/2,z+1/2'
loop_
_atom_site_label
_atom_site_type_symbol
_atom_site_fract_x
_atom_site_fract_y
_atom_site_fract_z
Cr1 Cr 0.000 0.000 0.000
Cr2 Cr 0.000 0.191 0.250
P1 P 0.141 0.442 0.884
O1 O 0.011 0.446 0.840
O2 O 0.021 0.105 0.068
O3 O 0.044 0.241 0.733
O4 O 0.084 0.499 0.940
O5 O 0.085 0.175 0.540
O6 O 0.092 0.072 0.298
O7 O 0.129 0.307 0.223
O8 O 0.184 0.020 0.979
O9 O 0.211 0.264 0.891
O10 O 0.248 0.072 0.636
# Theoretical density (Mg/m³): 1.86
# Total magnetic moment (μB per formula unit): 7.65
# Relative energy among the computed polymorphs (meV/atom): 315
# Electronic total energy (eV per atom): -5.409
# Calculated formation energy (meV/atom): -331

# PBE+U Li4Mn3Fe2Sn3O16, optimized geometry
data_Li4Mn3Fe2Sn3O16
_chemical_formula_sum 'Li4 Mn3 Fe2 Sn3 O16'
_symmetry_space_group_name_H-M 'P 1'
_symmetry_Int_Tables_number 1
_cell_length_a 6.054
_cell_length_b 6.059
_cell_length_c 9.716
_cell_angle_alpha 88.86
_cell_angle_beta 89.58
_cell_angle_gamma 60.08
loop_
_symmetry_equiv_pos_as_xyz
'x,y,z'
loop_
_atom_site_label
_atom_site_type_symbol
_atom_site_fract_x
_atom_site_fract_y
_atom_site_fract_z
Li1 Li 0.000 0.000 0.000
Li2 Li 0.005 0.990 0.491
Li3 Li 0.352 0.292 0.599
Li4 Li 0.688 0.622 0.108
Mn1 Mn 0.185 0.138 0.278
Mn2 Mn 0.676 0.136 0.278
Mn3 Mn 0.846 0.305 0.775
Fe1 Fe 0.354 0.285 0.004
Fe2 Fe 0.685 0.629 0.494
Sn1 Sn 0.185 0.629 0.279
Sn2 Sn 0.354 0.795 0.779
Sn3 Sn 0.848 0.796 0.780
O1 O 0.005 0.990 0.185
O2 O 0.012 0.975 0.675
O3 O 0.055 0.433 0.159
O4 O 0.169 0.139 0.890
O5 O 0.175 0.649 0.904
O6 O 0.335 0.819 0.392
O7 O 0.359 0.278 0.386
O8 O 0.496 0.007 0.164
O9 O 0.512 0.431 0.158
O10 O 0.534 0.932 0.649
O11 O 0.545 0.473 0.655
O12 O 0.687 0.622 0.898
O13 O 0.691 0.139 0.890
O14 O 0.843 0.819 0.391
O15 O 0.854 0.295 0.383
O16 O 0.981 0.472 0.656
# Theoretical density (Mg/m³): 4.93
# Total magnetic moment (μB per formula unit): 21.00
# Relative energy among the computed polymorphs (meV/atom): 25
# Electronic total energy (eV per atom): -6.372
# Calculated formation energy (meV/atom): -1988

# PBE+U CaCoSi4O10, optimized geometry
data_CaCoSi4O10
_chemical_formula_sum 'Ca4 Co4 Si16 O40'
_symmetry_space_group_name_H-M 'P 4/n c c'
_symmetry_Int_Tables_number 130
_cell_length_a 7.447
_cell_length_b 7.447
_cell_length_c 15.402
_cell_angle_alpha 90.00
_cell_angle_beta 90.00
_cell_angle_gamma 90.00
loop_
_symmetry_equiv_pos_as_xyz
'x,y,z'
'-x,-y,-z'
'-y+1/2,x,z'
'y+1/2,-x,-z'
'-x+1/2,-y+1/2,z'
'x+1/2,y+1/2,-z'
'y,-x+1/2,z'
'-y,x+1/2,-z'
'x+1/2,-y,-z+1/2'
'-x+1/2,y,z+1/2'
'-y,-x,-z+1/2'
'y,x,z+1/2'
'-x,y+1/2,-z+1/2'
'x,-y+1/2,z+1/2'
'y+1/2,x+1/2,-z+1/2'
'-y+1/2,-x+1/2,z+1/2'
loop_
_atom_site_label
_atom_site_type_symbol
_atom_site_fract_x
_atom_site_fract_y
_atom_site_fract_z
Ca1 Ca 0.250 0.750 0.000
Co1 Co 0.250 0.250 0.083
Si1 Si 0.002 0.077 0.352
O1 O 0.000 0.205 0.872
O2 O 0.001 0.146 0.082
O3 O 0.041 0.541 0.250
# Theoretical density (Mg/m³): 2.89
# Total magnetic moment (μB per formula unit): 3.02
# Electronic total energy (eV per atom): -7.530
# Calculated formation energy (meV/atom): -3043

# PBE+U Li2V2F7, optimized geometry
data_Li2V2F7
_chemical_formula_sum 'Li8 V8 F28'
_symmetry_space_group_name_H-M 'P 1 21/c 1'
_symmetry_Int_Tables_number 14
_cell_length_a 7.672
_cell_length_b 7.214
_cell_length_c 10.367
_cell_angle_alpha 90.00
_cell_angle_beta 90.01
_cell_angle_gamma 90.00
loop_
_symmetry_equiv_pos_as_xyz
'x,y,z'
'-x,-y,-z'
'-x,y+1/2,-z+1/2'
'x,-y+1/2,z+1/2'
loop_
_atom_site_label
_atom_site_type_symbol
_atom_site_fract_x
_atom_site_fract_y
_atom_site_fract_z